Whilst wrangling with the tapestry and a strong desire to maintain the intimate quiet that can be found on Flickr, reading an article in the latest issue (November '05) about how transitory, purposeful, evolving and non-linear dirt roads can be drew me in as a nice analogy to the sort of experience I hope people find when they visit.
(Unrelated to this page: calculated molecules)
(1)
{"formula": "C8H21ClCoNO4", "method": "ωB97M-V with the def2-TZVPD basis set", "symbols": ["Co", "Cl", "C", "C", "O", "O", "H", "H", "H", "H", "H", "H", "C", "O", "C", "C", "N", "C", "C", "O", "C", "H", "H", "H", "H", "H", "H", "H", "H", "H", "H", "H", "H", "H", "H", "H"], "coordinates": [[-0.9959, -1.2941, 0.5441], [0.8212, 0.2244, 0.9473], [5.1609, 3.1838, 0.3115], [3.8575, 2.5086, 0.7328], [3.6628, 1.2828, 0.1133], [6.2296, 2.6906, 1.0981], [5.0748, 4.2308, 0.6021], [5.4250, 3.1792, -0.7460], [3.0225, 3.2072, 0.6790], [3.9143, 2.3465, 1.8092], [2.9369, 0.8409, 0.5599], [6.2963, 1.7629, 0.8604], [1.1871, -2.4444, -1.3418], [-0.1965, -2.2280, -1.0514], [-1.0882, -2.3666, -2.2050], [-2.4165, -1.7405, -1.8958], [-2.3751, -0.6792, -0.9191], [-3.6198, -0.7403, -0.1458], [-3.5562, 0.3346, 0.9060], [-2.4557, -0.1674, 1.5890], [-2.3006, 0.6523, 2.7151], [1.4457, -3.5020, -1.3940], [1.8577, -1.9973, -0.6079], [1.4496, -1.9273, -2.2647], [-1.2022, -3.4281, -2.4248], [-0.7172, -1.9274, -3.1310], [-3.0896, -2.5413, -1.5896], [-2.8446, -1.4140, -2.8435], [-2.4820, 0.1514, -1.4838], [-3.8332, -1.6971, 0.3306], [-4.4662, -0.6092, -0.8200], [-4.4517, 0.3924, 1.5248], [-3.4410, 1.2869, 0.3882], [-1.4971, 0.2333, 3.3208], [-3.1803, 0.4890, 3.3376], [-2.1320, 1.7063, 2.4943]], "mulliken_charge": [0.51, -0.57, -0.48, -0.19, -0.15, -0.28, 0.34, 0.33, 0.42, 0.41, 0.28, 0.39, -0.71, -0.25, -0.45, -0.49, -0.28, -0.37, -0.80, -0.26, -0.85, 0.31, 0.23, 0.35, 0.38, 0.48, 0.29, 0.42, 0.18, 0.37, 0.55, 0.46, 0.38, 0.30, 0.39, 0.34], "orbital_gap_ev": [10.3, 4.9], "total_charge": 2, "s2": 6.012, "multiplicity": 5, "e_homo_ev": [-16.45, -16.37]}

=====

(2)
Dirt roads are communal creations, immune from the autocracy of engineers. "They evolved," says Vermont's dirt-road expert, Bob Niles, "from a cow path to an ox-cart path to a horse track to a buggy road to an automobile road. And they used what was close by, not what was good...
...A dirt road is alive, echoing and responding to land rather than flattening it, reflecting in its color the soil of farms and back yards. A dirt road is not the triumph of civilization over nature but a calm contentment, a cohabitation...
People ask to be shown the way; to have a variety of rules and regulations for what's OK and what's not strictly defined; to be told how they should be playing, and what's OK to show. This seems like pretty normal behaviour in a group environment. The trouble with anyone other than the person asking the question deciding, creating and defining this information is that it paves a road for people, painting lines and erecting traffic lights. My inclination has always been to give less structure and more flexibility to allow people to operate how they see fit. (Naturally, there are certain tasks that people should expect to be able to do simply, like sign up or change their email address. Highly structured, process-process oriented. Not exploratory or revelatory.)
I guess I just hope it's the case that people actually want to walk down a dirt road, and explore the space it moves through, seeing bits and pieces along the way that they might not have noticed if they were on a highway.
If you're wandering down a dirt road, it may not even be on a map. This plan we all had before called Information Architecture (IA) could have just become a load of wank (or, sorry, brittle). If IA is a load of wank, then this rich, organic, surprisingly accurate social architecture/hive/group mind presents some really interesting challenges for us as a bunch. We're used to dealing with square pegs and although sometimes round, mostly square holes.
I imagine an info-mush built by groups i'm in: social circles, my habitat, recreational pursuits, organisations or individuals I buy from, the fact that I like cooking, or that i'm generally interested in sleeping in Mondays.
-- Here the article breaks off for molecular data --
# 1
DFT (wB97M-V/def2-TZVPD) results for C4H7NO2 as an isolated structure.

Calculated values
- Energy above the lowest of the compared OMol25 structures with the same formula, charge and spin: 112.3 kcal/mol
- Gap between HOMO and LUMO: 9.0896 eV
- HOMO level: -9.0 eV
- F_max: 0.13775 Eh/bohr
- E_tot: -361.7018 hartree
- LUMO energy: 0.115 eV

Structure (XYZ):
```
14
Properties=species:S:1:pos:R:3:lowdin_charge:R:1
C -0.85 -1.30 0.93 0.090
C -0.55 0.20 -0.38 -0.091
C -1.03 1.54 -0.15 -0.267
O -2.20 1.82 0.01 0.057
C 0.86 0.05 -0.20 -0.557
O 1.24 -0.46 0.85 -0.033
N 2.03 0.22 -0.84 0.160
H -0.56 -0.89 1.91 0.060
H -1.90 -1.25 0.71 0.028
H -0.44 -2.32 0.81 0.076
H -1.01 -0.28 -1.22 0.134
H -0.29 2.36 -0.09 0.136
H 1.75 0.36 -1.78 0.079
H 2.96 -0.06 -0.58 0.127
```


# 2
DFT (wB97M-V/def2-TZVPD) results for a 2-piece molecular cluster, C6H13N3 overall.

Calculated values
- Energy above the lowest of the compared OMol25 structures with the same formula, charge and spin: 115.2 kcal/mol
- Gap between HOMO and LUMO (spin up / spin down): 7.4995 / 7.4983 eV
- HOMO level (spin up / spin down): -6.9 / -6.9 eV
- F_max: 0.09138 Eh/bohr
- E_tot: -400.5095 hartree
- LUMO energy (spin up / spin down): 0.645 / 0.645 eV

Structure (XYZ):
```
22
Properties=species:S:1:pos:R:3:lowdin_charge:R:1
C 0.33 0.38 -1.62 -0.245
C -0.56 -1.78 -0.59 -0.052
C 2.46 -0.91 -0.05 -0.086
C -1.58 1.63 -0.45 -0.040
C -1.05 0.66 1.74 -0.050
C 0.39 0.36 -0.15 -0.374
N 0.21 0.45 -2.78 0.155
N 1.58 0.13 0.45 -0.014
N -0.65 0.96 0.40 -0.191
H -1.51 -1.89 0.07 0.012
H -0.73 -1.88 -1.69 -0.011
H 0.32 -2.53 -0.46 -0.001
H 2.36 -1.94 0.32 0.082
H 2.35 -0.91 -1.15 0.089
H 3.44 -0.51 0.16 0.076
H -2.45 1.74 0.07 0.061
H -1.30 2.64 -0.69 0.099
H -1.81 1.14 -1.39 0.089
H -0.22 0.81 2.55 0.123
H -1.80 1.33 1.89 0.043
H -1.51 -0.31 1.96 0.092
H 1.74 0.42 1.42 0.143
```


# 3
DFT (wB97M-V/def2-TZVPD) results for one molecule with the formula C27H33N5O3.

Calculated values
- Energy above the lowest of the compared OMol25 structures with the same formula, charge and spin: 0.0 kcal/mol
- Gap between HOMO and LUMO: 7.9749 eV
- HOMO level: -7.4 eV
- F_max: 0.01509 Eh/bohr
- E_tot: -1548.2428 hartree
- LUMO energy: 0.603 eV
- SMILES: CCOc1ccccc1NC(=O)CCC(=O)Nc1ccc2nc(N3CCN(C)CC3)cc(C)c2c1

Structure (XYZ):
```
68
Properties=species:S:1:pos:R:3:lowdin_charge:R:1
C 2.85 -2.46 -0.84 -0.055
C 2.41 -1.03 -0.59 -0.237
O 1.69 -0.62 -1.73 -0.060
C 1.00 0.56 -1.72 -0.204
C 1.08 1.52 -0.73 -0.017
C 0.33 2.68 -0.84 -0.092
C -0.49 2.89 -1.93 -0.090
C -0.58 1.93 -2.92 -0.018
C 0.15 0.76 -2.82 -0.154
N 0.10 -0.29 -3.76 0.160
C -0.90 -0.58 -4.63 -0.489
O -1.85 0.14 -4.86 0.066
C -0.75 -1.97 -5.24 -0.081
C -1.61 -2.97 -4.44 -0.082
C -1.28 -2.84 -2.96 -0.482
O -0.40 -3.48 -2.43 0.070
N -2.04 -1.90 -2.34 0.141
C -1.81 -1.31 -1.08 -0.212
C -2.33 -0.02 -0.88 -0.014
C -2.06 0.66 0.27 -0.008
C -1.27 0.08 1.28 -0.227
N -0.97 0.82 2.36 0.164
C -0.22 0.30 3.32 -0.279
N 0.02 1.10 4.40 -0.077
C 1.20 0.96 5.23 -0.140
But, when does this info-mush or the constituent communities start to bust, or become beige to me? How do I stay connected to the stuff i'm really interested in? How do I find another road to turn down? And how do I find my way back to that nice one I wandered down last year... or whenever that was... Helpful tools like networks, clusters, friends, tags, long tail-y serendipity of course...
**Unrelated to this entry: data records:**
=====
The following is a quantum chemistry calculation of a molecular structure, C26H32AlBr4F6N2O10 at a distorted geometry, from the Open Molecules 2025 dataset.

Atoms and positions in Å:
C (-0.10, 6.35, 8.22)
O (-6.81, -4.39, -7.70)
C (-0.22, -1.68, 0.79)
H (-5.01, 5.81, 6.66)
C (3.34, 1.24, -2.01)
C (8.30, -0.86, -4.26)
H (-6.95, -3.44, -7.53)
C (-2.42, -4.19, -3.75)
C (6.69, -2.35, -3.45)
C (1.08, -1.53, -0.14)
C (2.09, -0.25, 0.17)
N (0.82, -3.59, -1.65)
C (-1.27, -5.13, -1.41)
H (4.00, -3.61, -2.13)
C (-4.76, 4.93, 6.06)
C (-4.76, 3.67, 6.87)
Br (8.98, -4.75, -3.50)
C (-4.64, -2.57, -4.06)
H (8.46, 0.22, -4.36)
H (-1.29, -4.16, -4.08)
O (-1.86, 3.42, 5.09)
C (-1.07, -2.98, 0.29)
F (-2.47, -2.22, -5.30)
H (2.32, -2.24, -1.74)
H (5.65, -4.23, -1.91)
H (-0.58, -5.86, -2.02)
H (-2.09, -3.31, 0.77)
C (0.39, 4.96, 8.47)
H (3.22, -0.58, 0.33)
Br (-0.85, 2.78, -0.29)
H (3.97, 2.54, -3.97)
C (2.02, 0.69, -1.21)
N (1.43, -2.47, -1.20)
C (0.47, 1.01, -1.74)
Br (-1.34, 5.42, 1.50)
C (-0.41, -3.79, -0.90)
C (-2.93, 3.74, 5.60)
H (-0.45, 0.60, -1.12)
H (8.31, -1.31, -5.26)
H (1.25, 3.09, -4.89)
H (1.76, 0.37, 1.13)
O (5.47, -2.39, -2.86)
O (-1.48, 6.17, 7.95)
H (-4.47, 3.84, 7.91)
C (-1.83, 5.06, 8.66)
H (0.03, 7.03, 9.06)
O (-2.98, 4.74, 8.91)
O (7.37, -3.32, -3.76)
O (-3.77, 2.88, 6.24)
Br (-2.74, 2.63, 2.32)
H (-5.44, 4.87, 5.20)
C (-3.00, -2.65, -3.96)
F (-5.28, -2.48, -2.71)
H (4.86, -4.26, -3.53)
Al (4.02, -2.87, -4.34)
H (-0.51, -0.98, 1.66)
C (3.04, 2.14, -3.38)
F (-5.02, -1.32, -4.80)
C (-2.65, -4.75, -2.21)
O (-0.73, 4.34, 9.06)
H (-5.73, 3.16, 6.85)
H (-6.19, -4.67, -7.01)
F (-2.47, -1.72, -2.93)
H (-3.33, -4.06, -1.54)
H (4.43, 0.99, -1.65)
O (7.03, -1.05, -3.64)
H (-0.96, 2.06, -3.47)
C (0.16, 1.87, -3.10)
C (4.98, -3.70, -2.60)
H (-1.58, -5.72, -0.42)
O (-3.43, 5.01, 5.59)
H (1.25, 4.94, 9.14)
H (9.10, -1.27, -3.64)
H (-2.98, -4.84, -4.57)
H (-0.33, 3.22, 2.11)
F (-5.26, -3.70, -4.80)
H (-3.26, -5.77, -2.34)
C (-1.19, 3.48, 1.50)
F (0.48, 6.87, 7.11)
C (1.49, 2.45, -3.92)
H (0.65, 4.43, 7.54)

Properties
- calculated total energy (Ha) = -13007.7016
- frontier orbital gap (eV) = 1.30
- HOMO energy (eV) = -14.68
- max |F| (eV/Å) = 6.39
- net charge = +3
- relative energy (zero: lowest compared OMol25 entry of this formula, charge and spin) (eV) = 18.4132

The following is a quantum chemistry calculation of a molecular structure, C59H132Ca2N5O14P at a distorted geometry, from the Open Molecules 2025 dataset.

Atoms and positions in Å:
C (14.93, 13.93, 15.65)
H (8.56, 14.52, 16.52)
H (22.06, 14.23, 12.35)
H (21.82, 17.11, 13.33)
N (14.70, 18.36, 7.55)
C (16.10, 13.47, 17.56)
H (12.25, 18.91, 13.72)
O (17.59, 17.44, 15.56)
H (11.35, 12.41, 18.31)
H (8.34, 13.09, 7.33)
H (14.38, 12.89, 12.69)
C (6.48, 21.18, 15.13)
H (11.85, 10.85, 9.32)
H (8.81, 10.26, 7.41)
H (12.91, 16.99, 6.00)
C (9.43, 15.92, 9.29)
H (12.89, 20.63, 11.62)
H (8.58, 12.37, 8.98)
H (13.27, 13.41, 7.34)
H (16.91, 16.90, 9.85)
O (16.35, 19.31, 16.38)
O (13.79, 17.40, 17.09)
=====
**The entry goes on:**
Navigating all this stuff is the trick.